-- Contents --
........
(1)
87
Properties=species:S:1:pos:R:3:forces:R:3 method="wB97M-V/def2-TZVPD" e_homo_ev="-8.61 / -8.65" e_tot_ha=-9241.69301 homo_lumo_gap_ev="7.445 / 7.046" multiplicity=2 lumo_energy_ev="-1.16 / -1.60"
Cu -0.684311 -1.275709 1.684017 -0.518 0.623 -1.333
N 6.584187 -0.132947 4.246455 0.008 -0.102 0.027
C 5.231776 -0.289506 4.135023 -0.216 -0.019 -0.004
C 4.709334 -1.135579 3.143592 0.036 -0.078 -0.038
C 3.350970 -1.310265 3.024219 -0.031 0.057 0.071
C 2.491738 -0.639695 3.890480 -0.314 -0.282 -0.101
C 2.985466 0.195680 4.881167 -0.149 0.024 0.080
C 4.348603 0.359819 5.010344 0.131 0.032 -0.051
S 0.784213 -0.681904 3.522347 1.214 1.775 0.571
O -0.009610 -0.202615 4.606952 0.073 -0.233 0.214
O 0.421623 -2.025560 3.000073 0.407 -0.695 0.450
N 0.619984 0.164012 2.127471 -0.369 -1.507 0.675
C 0.500207 1.528005 2.171382 -0.022 1.402 0.105
N 0.867619 2.173271 3.287224 0.081 -0.421 -0.017
C 0.716386 3.488055 3.301632 0.044 0.151 -0.051
C 0.210619 4.199190 2.227433 0.044 -0.116 -0.074
C -0.052447 3.452829 1.087620 -0.064 0.168 0.204
N 0.095868 2.136902 1.049661 -0.247 -0.529 -0.060
H 7.166399 -0.481229 3.506992 0.071 0.072 0.024
H 6.961281 0.578995 4.843079 0.017 0.035 -0.037
H 5.377640 -1.650078 2.465840 0.005 -0.034 -0.064
H 2.927915 -1.956506 2.266883 0.140 -0.084 -0.068
H 2.294512 0.719942 5.526903 0.011 0.015 -0.006
H 4.746662 1.012623 5.777240 -0.024 -0.002 0.024
H 1.040609 3.990288 4.207699 -0.083 0.011 0.016
H 0.059229 5.266807 2.263689 0.050 0.020 -0.028
H -0.388956 3.921224 0.170207 0.039 0.017 -0.011
C 1.265166 1.431103 -3.677792 0.102 -0.146 -0.056
O 1.060044 2.658295 -2.983290 -0.113 0.027 0.029
C 1.932348 3.028201 -2.046933 0.049 0.244 0.081
O 1.767531 4.044061 -1.420379 -0.096 -0.053 -0.078
C 3.077207 2.124254 -1.698866 -0.017 0.058 0.237
C 4.321071 2.432765 -2.047750 0.022 -0.045 -0.068
As 5.948839 1.613336 -1.364771 -0.112 0.114 -0.029
C 6.762735 1.216156 -3.116993 -0.032 -0.103 -0.030
C 5.182029 -0.153843 -1.076285 0.029 -0.177 -0.045
C 3.961085 -0.482570 -0.646714 -0.016 0.236 -0.008
As 2.527622 0.853574 -0.268738 0.558 -0.143 -0.341
C 3.479186 1.868771 1.116648 0.007 0.025 0.160
C 3.770557 -1.935673 -0.307214 0.386 -0.168 0.108
O 4.678056 -2.567543 0.179016 -0.170 0.059 0.111
O 2.611218 -2.573824 -0.500887 -0.145 0.030 0.167
C 1.494910 -2.005081 -1.173196 -0.207 -0.065 -0.105
C 6.238520 -1.177481 -1.351235 0.324 -0.137 0.002
O 6.224512 -1.998529 -2.225290 -0.136 0.037 -0.023
O 7.312188 -0.930705 -0.567812 -0.161 0.008 0.069
C 8.419643 -1.819899 -0.739752 0.040 -0.120 -0.118
C 4.557891 3.608176 -2.927053 0.092 0.241 -0.149
O 3.877499 3.939718 -3.861468 -0.086 -0.074 0.070
O 5.666275 4.266386 -2.531414 -0.050 -0.086 0.025
C 5.947524 5.496735 -3.207599 -0.084 0.102 -0.167
H 0.622609 1.465470 -4.552687 -0.009 0.020 0.025
H 0.973172 0.587108 -3.047498 -0.007 0.040 -0.017
H 2.302506 1.320731 -3.995209 -0.024 0.039 -0.001
H 6.991495 2.148534 -3.629426 -0.022 0.057 0.094
H 6.094106 0.617178 -3.732877 0.003 0.004 0.015
H 7.693785 0.671614 -2.967370 -0.013 0.001 0.044
H 4.553554 1.880379 0.941992 -0.021 0.004 -0.005
H 3.283511 1.434124 2.095285 -0.016 -0.076 0.015
H 3.100700 2.891809 1.101774 -0.038 -0.017 -0.046
H 1.021448 -2.825222 -1.709296 0.018 0.007 -0.021
H 1.800303 -1.241444 -1.887691 -0.058 -0.029 0.010
H 0.776818 -1.590732 -0.453491 0.262 0.045 -0.218
H 9.276870 -1.339751 -0.276798 -0.044 0.027 0.028
H 8.604003 -1.995498 -1.798260 0.022 0.005 0.025
H 8.208508 -2.771879 -0.253194 -0.021 0.015 -0.018
H 7.009677 5.688342 -3.088883 -0.008 -0.052 0.054
H 5.367076 6.299159 -2.753340 0.007 -0.022 0.003
H 5.682380 5.421353 -4.260104 0.050 -0.013 0.013
O -2.633482 -1.814053 1.693104 -0.013 -0.304 -0.144
C -2.723070 -1.051046 0.695172 -0.640 -0.141 -0.032
O -1.674819 -0.562178 0.185668 -0.029 0.147 -0.214
C -4.064726 -0.668701 0.175690 -0.134 0.182 -0.012
C -5.133415 -1.549385 0.259353 -0.067 -0.206 0.078
C -6.386830 -1.122880 -0.141755 0.392 0.330 -0.047
C -6.608686 0.166170 -0.590534 -0.154 0.049 -0.036
........

-- Request --
Next, duplicate everything further above without altering anything.

-- Reply --
(1)
87
Properties=species:S:1:pos:R:3:forces:R:3 method="wB97M-V/def2-TZVPD" e_homo_ev="-8.61 / -8.65" e_tot_ha=-9241.69301 homo_lumo_gap_ev="7.445 / 7.046" multiplicity=2 lumo_energy_ev="-1.16 / -1.60"
Cu -0.684311 -1.275709 1.684017 -0.518 0.623 -1.333
N 6.584187 -0.132947 4.246455 0.008 -0.102 0.027
C 5.231776 -0.289506 4.135023 -0.216 -0.019 -0.004
C 4.709334 -1.135579 3.143592 0.036 -0.078 -0.038
C 3.350970 -1.310265 3.024219 -0.031 0.057 0.071
C 2.491738 -0.639695 3.890480 -0.314 -0.282 -0.101
C 2.985466 0.195680 4.881167 -0.149 0.024 0.080
C 4.348603 0.359819 5.010344 0.131 0.032 -0.051
S 0.784213 -0.681904 3.522347 1.214 1.775 0.571
O -0.009610 -0.202615 4.606952 0.073 -0.233 0.214
O 0.421623 -2.025560 3.000073 0.407 -0.695 0.450
N 0.619984 0.164012 2.127471 -0.369 -1.507 0.675
C 0.500207 1.528005 2.171382 -0.022 1.402 0.105
N 0.867619 2.173271 3.287224 0.081 -0.421 -0.017
C 0.716386 3.488055 3.301632 0.044 0.151 -0.051
C 0.210619 4.199190 2.227433 0.044 -0.116 -0.074
C -0.052447 3.452829 1.087620 -0.064 0.168 0.204
N 0.095868 2.136902 1.049661 -0.247 -0.529 -0.060
H 7.166399 -0.481229 3.506992 0.071 0.072 0.024
H 6.961281 0.578995 4.843079 0.017 0.035 -0.037
H 5.377640 -1.650078 2.465840 0.005 -0.034 -0.064
H 2.927915 -1.956506 2.266883 0.140 -0.084 -0.068
H 2.294512 0.719942 5.526903 0.011 0.015 -0.006
H 4.746662 1.012623 5.777240 -0.024 -0.002 0.024
H 1.040609 3.990288 4.207699 -0.083 0.011 0.016
H 0.059229 5.266807 2.263689 0.050 0.020 -0.028
H -0.388956 3.921224 0.170207 0.039 0.017 -0.011
C 1.265166 1.431103 -3.677792 0.102 -0.146 -0.056
O 1.060044 2.658295 -2.983290 -0.113 0.027 0.029
C 1.932348 3.028201 -2.046933 0.049 0.244 0.081
O 1.767531 4.044061 -1.420379 -0.096 -0.053 -0.078
C 3.077207 2.124254 -1.698866 -0.017 0.058 0.237
C 4.321071 2.432765 -2.047750 0.022 -0.045 -0.068
As 5.948839 1.613336 -1.364771 -0.112 0.114 -0.029
C 6.762735 1.216156 -3.116993 -0.032 -0.103 -0.030
C 5.182029 -0.153843 -1.076285 0.029 -0.177 -0.045
C 3.961085 -0.482570 -0.646714 -0.016 0.236 -0.008
As 2.527622 0.853574 -0.268738 0.558 -0.143 -0.341
C 3.479186 1.868771 1.116648 0.007 0.025 0.160
C 3.770557 -1.935673 -0.307214 0.386 -0.168 0.108
O 4.678056 -2.567543 0.179016 -0.170 0.059 0.111
O 2.611218 -2.573824 -0.500887 -0.145 0.030 0.167
C 1.494910 -2.005081 -1.173196 -0.207 -0.065 -0.105
C 6.238520 -1.177481 -1.351235 0.324 -0.137 0.002
O 6.224512 -1.998529 -2.225290 -0.136 0.037 -0.023
O 7.312188 -0.930705 -0.567812 -0.161 0.008 0.069
C 8.419643 -1.819899 -0.739752 0.040 -0.120 -0.118
C 4.557891 3.608176 -2.927053 0.092 0.241 -0.149
O 3.877499 3.939718 -3.861468 -0.086 -0.074 0.070
O 5.666275 4.266386 -2.531414 -0.050 -0.086 0.025
C 5.947524 5.496735 -3.207599 -0.084 0.102 -0.167
H 0.622609 1.465470 -4.552687 -0.009 0.020 0.025
H 0.973172 0.587108 -3.047498 -0.007 0.040 -0.017
H 2.302506 1.320731 -3.995209 -0.024 0.039 -0.001
H 6.991495 2.148534 -3.629426 -0.022 0.057 0.094
H 6.094106 0.617178 -3.732877 0.003 0.004 0.015
H 7.693785 0.671614 -2.967370 -0.013 0.001 0.044
H 4.553554 1.880379 0.941992 -0.021 0.004 -0.005
H 3.283511 1.434124 2.095285 -0.016 -0.076 0.015
H 3.100700 2.891809 1.101774 -0.038 -0.017 -0.046
H 1.021448 -2.825222 -1.709296 0.018 0.007 -0.021
H 1.800303 -1.241444 -1.887691 -0.058 -0.029 0.010
H 0.776818 -1.590732 -0.453491 0.262 0.045 -0.218
H 9.276870 -1.339751 -0.276798 -0.044 0.027 0.028
H 8.604003 -1.995498 -1.798260 0.022 0.005 0.025
H 8.208508 -2.771879 -0.253194 -0.021 0.015 -0.018
H 7.009677 5.688342 -3.088883 -0.008 -0.052 0.054
H 5.367076 6.299159 -2.753340 0.007 -0.022 0.003
H 5.682380 5.421353 -4.260104 0.050 -0.013 0.013
O -2.633482 -1.814053 1.693104 -0.013 -0.304 -0.144
C -2.723070 -1.051046 0.695172 -0.640 -0.141 -0.032
O -1.674819 -0.562178 0.185668 -0.029 0.147 -0.214
C -4.064726 -0.668701 0.175690 -0.134 0.182 -0.012
C -5.133415 -1.549385 0.259353 -0.067 -0.206 0.078
C -6.386830 -1.122880 -0.141755 0.392 0.330 -0.047
C -6.608686 0.166170 -0.590534 -0.154 0.049 -0.036